_Listing_
~~~
[1]
Theoretical X-ray powder pattern of SmTcO3F for Cu Kα (λ = 1.5418 Å), from a DFT-relaxed cell (PBE, OQMD).

The 12 most intense peaks (5° ≤ 2θ ≤ 70°), sorted by position:
4.153 Å, I = 41
4.029 Å, I = 81
3.978 Å, I = 94
3.560 Å, I = 48
3.359 Å, I = 37
3.288 Å, I = 100
3.274 Å, I = 78
3.008 Å, I = 94
2.988 Å, I = 44
2.321 Å, I = 42
2.246 Å, I = 36
1.931 Å, I = 48

a = 4.4359 Å, b = 6.7244 Å, c = 6.8655 Å
α = 109.72°, β = 106.77°, γ = 100.81°
Sites, in units of the cell vectors:
Sm1 0.0273 0.1743 0.3036
Sm2 0.9727 0.8257 0.6964
Tc1 0.2581 0.3674 0.8599
Tc2 0.7419 0.6326 0.1401
O1 0.0061 0.4895 0.7094
O2 0.0527 0.1855 0.9623
O3 0.3485 0.1707 0.6467
O4 0.6515 0.8293 0.3533
O5 0.9473 0.8145 0.0377
O6 0.9939 0.5105 0.2906
F1 0.4695 0.8076 0.7064
F2 0.5305 0.1924 0.2936



[2]
Theoretical X-ray powder pattern of NdAlInPt for Cu Kα (λ = 1.5418 Å), from a DFT-relaxed cell (PBE, OQMD).

The 12 most intense peaks (5° ≤ 2θ ≤ 70°), sorted by position:
8.641 Å, I = 100
3.182 Å, I = 85
2.928 Å, I = 57
2.880 Å, I = 52
2.647 Å, I = 38
2.363 Å, I = 63
2.337 Å, I = 95
2.279 Å, I = 25
2.204 Å, I = 48
1.991 Å, I = 31
1.568 Å, I = 32
1.516 Å, I = 33

a = 9.0773 Å, b = 9.0773 Å, c = 3.9812 Å
α = 90.00°, β = 90.00°, γ = 144.33°
Sites, in units of the cell vectors:
Nd1 0.1144 0.8856 0.0000
Nd2 0.8856 0.1144 0.0000
Al1 0.2944 0.7031 0.9683
Al2 0.7031 0.2944 0.9683
In1 0.4146 0.5841 0.4823
In2 0.5841 0.4146 0.4823
Pt1 0.9998 0.5005 0.4672
Pt2 0.5005 0.9998 0.4672

~~~~~

[1]
Structure and computed powder X-ray diffraction pattern of Np2ScPaAs4 (a crystal structure in Alexandria, relaxed with PBE; copper Kα).

Cell and atoms:
Cell lengths 7.0064, 4.0571, 7.0363 Å; angles 90.00, 109.51, 90.00 degrees
Space group P2/m (No. 10)
Asymmetric unit:
Np (0.0000, 0.0000, 0.0000) [1 per cell]
Np (0.0000, 0.5000, 0.5000) [1 per cell]
Sc (0.5000, 0.0000, 0.5000) [1 per cell]
Pa (0.5000, 0.5000, 0.0000) [1 per cell]
As (0.2565, 0.0000, 0.7440) [2 per cell]
As (0.2594, 0.5000, 0.2589) [2 per cell]

Most intense lines, 10° ≤ 2θ ≤ 90°, low angle first:
Position (°2θ)	I_rel	h k l
13.38	12	1 0 0
26.91	23	0 0 2
31.20	100	1 1 1
44.64	38	0 2 0
44.76	37	2 0 2
55.46	20	2 2 -2
65.07	12	2 2 2
73.83	17	1 3 1
74.01	17	4 2 0
82.27	11	1 3 -3



[2]
Structure and computed powder X-ray diffraction pattern of Co3GeH (a crystal structure in Alexandria, relaxed with PBE; copper Kα).

Cell and atoms:
Cell lengths 5.1069, 5.1069, 4.1417 Å; angles 90.00, 90.00, 120.00 degrees
Space group P6_3/m (No. 176)
Asymmetric unit:
Co (0.1688, 0.8292, 0.2500) [6 per cell]
Ge (0.3333, 0.6667, 0.7500) [2 per cell]
H (0.0000, 0.0000, 0.0000) [2 per cell]

Most intense lines, 10° ≤ 2θ ≤ 90°, low angle first:
Position (°2θ)	I_rel	h k l
20.08	1	1 0 0
29.55	1	1 0 1
40.81	24	2 0 0
43.71	27	0 0 2
46.56	100	2 0 1
59.65	1	2 1 1
61.33	14	2 0 2
74.29	15	2 2 0
82.34	17	2 0 3
88.41	2	4 0 0



[3]
Structure and computed powder X-ray diffraction pattern of KNa12Hg6 (a crystal structure in Alexandria, relaxed with PBE; copper Kα).

Cell and atoms:
Cell lengths 11.6679, 11.6679, 14.7269 Å; angles 90.00, 90.00, 120.00 degrees
Space group R-3 (No. 148, hexagonal axes)
Asymmetric unit:
K (0.0000, 0.0000, 0.0000) [3 per cell]
Na (0.0339, 0.1991, 0.8071) [18 per cell]
Na (0.0569, 0.8330, 0.4158) [18 per cell]
Hg (0.0124, 0.4300, 0.7041) [18 per cell]

Most intense lines, 10° ≤ 2θ ≤ 90°, low angle first:
Position (°2θ)	I_rel	h k l
15.19	48	1 1 0
18.07	39	0 0 3
21.33	45	2 0 2
23.69	53	1 1 3
24.07	26	3 -1 1
32.52	100	1 3 1
33.82	37	2 1 4
34.23	47	4 -1 2
35.27	27	2 0 5
40.45	28	4 -3 4



[4]
Structure and computed powder X-ray diffraction pattern of La3Mg4Sc (a crystal structure in Alexandria, relaxed with PBE; copper Kα).

Cell and atoms:
Cell lengths 3.8476, 3.8476, 15.7013 Å; angles 90.00, 90.00, 90.00 degrees
Space group P4/mmm (No. 123)
Asymmetric unit:
La (0.0000, 0.0000, 0.0000) [1 per cell]
La (0.0000, 0.0000, 0.2628) [2 per cell]
Mg (0.5000, 0.5000, 0.1306) [2 per cell]
Mg (0.5000, 0.5000, 0.3965) [2 per cell]
~~~

_Job_
Could you transcribe every line above that contains the word "R-3"?

_Worked solution_
Space group R-3 (No. 148, hexagonal axes)